The Worldwide Crisis of Islam => The Truth About Islam => Topic started by: ASHISH on April 07, 2008, 09:03:39 PM
Two empty, snow-covered lots in Inuvik, N.W.T., located 2 degrees above the Arctic Circle, could soon be home to Canada's most northerly mosque. The Muslim association in the Arctic town of 3,500 recently purchased the lots, after three years of fundraising.
"It's suited for a mosque or for a church or for a religious place," association president Said Daher told in an interview.
The association has raised more than $40,000 to date to start paying off the land.
Daher said members hope Muslim groups from across North America will chip in to help fund the building.
"The Muslim population is growing," said Muhammad Muhammad. "It doesn't really fit for everybody, especially if there is an event."
By comparison, Daher said the proposed mosque will hold up to 100 people, and have space for activities beyond prayer.
"We thought we were in need for a community centre for social activities, for kids just to get together," he said.
"And if we have visitors, let's say, from outside, you know, they have a place to stay."
Muhammad said having a permanent mosque would be a milestone for the Muslim community in Inuvik.
"We always thought about it, to have a mosque, and we always dreamed about it actually. And hopefully it will be accomplished."
Crystal structures from another source follow >
First-principles (PBE) data for a relaxed structure of Mg6AlW, as listed in the Materials Project database.

As for the formation energy: 1.85 eV per formula unit. Its calculated total energy is -3.057 eV/atom. The value obtained for the size of the total moment is 0.001 μB per atom.

abc: 4.8235 6.1186 10.6768
angles: 90.00 90.00 90.00
Last column: nearest neighbours and their distance in Å.
Fractional coordinates of all 16 atoms:
1 Mg 0.0000 0.7619 0.5866  1 Al 2.82, 7 Mg 2.91-3.08, 2 W 2.98
2 Mg 0.5000 0.0000 0.1669  10 Mg 2.99-3.10, 2 W 3.06
3 Mg 0.0000 0.5000 0.8330  10 Mg 2.99-3.08, 2 Al 3.07
4 Mg 0.0000 0.7381 0.0866  1 Al 2.82, 7 Mg 2.91-3.08, 2 W 2.98
5 Mg 0.0000 0.2619 0.0866  1 Al 2.82, 7 Mg 2.91-3.08, 2 W 2.98
6 Mg 0.0000 0.2381 0.5866  1 Al 2.82, 7 Mg 2.91-3.08, 2 W 2.98
7 Mg 0.5000 0.7539 0.9186  2 W 2.98-3.17, 8 Mg 3.01-3.11, 2 Al 3.06
8 Mg 0.5000 0.2539 0.4186  2 W 2.98-3.17, 8 Mg 3.01-3.11, 2 Al 3.06
9 Mg 0.5000 0.7461 0.4186  2 W 2.98-3.17, 8 Mg 3.01-3.11, 2 Al 3.06
10 Mg 0.5000 0.5000 0.6669  10 Mg 2.99-3.10, 2 W 3.06
11 Mg 0.5000 0.2461 0.9186  2 W 2.98-3.17, 8 Mg 3.01-3.11, 2 Al 3.06
12 Mg 0.0000 0.0000 0.3330  10 Mg 2.99-3.08, 2 Al 3.07
13 W 0.5000 0.0000 0.6773  2 Al 2.81, 8 Mg 2.98-3.06
14 W 0.5000 0.5000 0.1773  2 Al 2.81, 8 Mg 2.98-3.06
15 Al 0.0000 0.0000 0.8123  2 W 2.81, 8 Mg 2.82-3.07
16 Al 0.0000 0.5000 0.3123  2 W 2.81, 8 Mg 2.82-3.07
There are no current statistics on the number of Muslims in Inuvik, but census data from 2001 show 45 Muslims in the community that year.
The Northwest Territories had 175 Muslims in the 2001 census.
hey i hope they all move there also
Maybe we'll get lucky and global warming will flood the place.
A mosque in the north pole? That would be a good time to have "global warming's" ice melt and the toilet bowl mosque with 1000s of muzzies sinking in the cold waters
You can bet the $40,000 for the Mosque didn't come from the 175 Muslims living there. This sounds like the Mosque is being built for propaganda reasons to show how entrenched Islam is now in the Northern Hemisphere that there is even a Mosque now in the North Pole. That and/or they are hoping to attract Natives to Islam whom may be bitter towards the Canadian government in the same way that Islamists have made great efforts to convert Blacks in American prisons.
Santa with a turban. :::D :::D
Wow scary! Thanks DanBenNoah for showing this thread to me.
Instead of clubbing harp seals to death, let's do it to muSSlims. :D
A mosque in the north pole? That would be a good time to have "global warming's" ice melt and the toilet bowl mosque with 1000s of muzzies sinking in the cold waters
Records of crystals, kept here for reference:
........
# NiH18C4S6N8O4 | Materials Project | GGA+U | optimized geometry
data_NiH18C4S6N8O4
_chemical_formula_sum 'Ni4 H72 C16 S24 N32 O16'
_cell_length_a 9.570
_cell_length_b 12.014
_cell_length_c 20.226
_cell_angle_alpha 90.00
_cell_angle_beta 90.00
_cell_angle_gamma 90.00
_symmetry_space_group_name_H-M 'P 1'
_symmetry_Int_Tables_number 1
loop_
_symmetry_equiv_pos_as_xyz
'x,y,z'
loop_
_atom_site_label
_atom_site_fract_x
_atom_site_fract_y
_atom_site_fract_z
_atom_site_occupancy
H1 0.570 0.443 0.965 1
H2 0.761 0.559 0.654 1
H3 0.723 0.176 0.651 1
H4 0.066 0.368 0.847 1
H5 0.430 0.943 0.535 1
H6 0.693 0.521 0.249 1
H7 0.778 0.961 0.142 1
H8 0.596 0.280 0.574 1
H9 0.686 0.606 0.188 1
H10 0.070 0.057 0.035 1
H11 0.566 0.132 0.153 1
H12 0.432 0.214 0.658 1
H13 0.774 0.611 0.434 1
H14 0.807 0.479 0.749 1
H15 0.274 0.889 0.566 1
H16 0.261 0.941 0.346 1
H17 0.435 0.840 0.779 1
H18 0.722 0.039 0.642 1
H19 0.904 0.720 0.074 1
H20 0.186 0.894 0.812 1
H21 0.193 0.979 0.751 1
H22 0.222 0.461 0.358 1
H23 0.173 0.825 0.321 1
H24 0.903 0.762 0.992 1
H25 0.932 0.286 0.342 1
H26 0.061 0.991 0.541 1
H27 0.493 0.462 0.740 1
H28 0.229 0.341 0.814 1
H29 0.210 0.743 0.113 1
H30 0.790 0.243 0.387 1
H31 0.568 0.714 0.842 1
H32 0.814 0.394 0.688 1
H33 0.771 0.841 0.686 1
H34 0.290 0.257 0.613 1
H35 0.314 0.106 0.312 1
H36 0.935 0.660 0.221 1
H37 0.068 0.786 0.158 1
H38 0.597 0.238 0.492 1
H39 0.729 0.159 0.186 1
H40 0.560 0.443 0.533 1
H41 0.239 0.059 0.846 1
H42 0.507 0.962 0.760 1
H43 0.939 0.491 0.959 1
H44 0.673 0.675 0.679 1
H45 0.440 0.943 0.967 1
H46 0.710 0.757 0.887 1
H47 0.007 0.538 0.240 1
H48 0.993 0.038 0.260 1
H49 0.226 0.111 0.066 1
H50 0.223 0.324 0.349 1
H51 0.403 0.738 0.008 1
H52 0.434 0.632 0.347 1
H53 0.097 0.262 0.508 1
H54 0.739 0.441 0.154 1
H55 0.096 0.220 0.426 1
H56 0.439 0.009 0.041 1
H57 0.404 0.780 0.926 1
H58 0.277 0.676 0.849 1
H59 0.940 0.557 0.033 1
H60 0.565 0.340 0.721 1
H61 0.271 0.659 0.314 1
H62 0.561 0.509 0.459 1
H63 0.777 0.824 0.151 1
H64 0.827 0.325 0.179 1
H65 0.726 0.389 0.934 1
H66 0.278 0.539 0.858 1
H67 0.065 0.160 0.279 1
H68 0.930 0.557 0.465 1
H69 0.060 0.057 0.467 1
H70 0.307 0.021 0.251 1
H71 0.934 0.868 0.653 1
H72 0.327 0.175 0.821 1
S1 0.334 0.506 0.988 1
S2 0.831 0.403 0.561 1
S3 0.735 0.985 0.835 1
S4 0.926 0.643 0.854 1
S5 0.265 0.485 0.665 1
S6 0.033 0.766 0.807 1
S7 0.235 0.515 0.165 1
S8 0.521 0.837 0.391 1
S9 0.834 0.994 0.012 1
S10 0.331 0.097 0.439 1
S11 0.533 0.734 0.193 1
S12 0.467 0.234 0.307 1
S13 0.979 0.163 0.891 1
S14 0.074 0.143 0.646 1
S15 0.169 0.903 0.939 1
S16 0.765 0.015 0.335 1
S17 0.666 0.006 0.512 1
S18 0.669 0.597 0.061 1
S19 0.166 0.494 0.488 1
S20 0.021 0.663 0.609 1
S21 0.479 0.337 0.109 1
S22 0.426 0.857 0.146 1
S23 0.574 0.357 0.354 1
S24 0.967 0.266 0.693 1
C1 0.355 0.619 0.937 1
C2 0.365 0.792 0.359 1
C3 0.855 0.881 0.063 1
C4 0.252 0.008 0.495 1
C5 0.124 0.626 0.176 1
C6 0.748 0.508 0.005 1
C7 0.145 0.381 0.437 1
C8 0.876 0.126 0.324 1
C9 0.752 0.492 0.505 1
C10 0.645 0.119 0.563 1
........
Maybe the muSSlim Nazi Mosque will freeze and then liberals will be afraid, global warming will "melt" the mosque. ;D ;D
May this mosque be destroyed, G-d willing. O0
We were gonna use that space to test our weapons. Now we have the perfect target. O0
I can't believe that there are actually Muslims up there.
They seem intent on spreading to every corner of the world.
I can't believe that there are actually Muslims up there.
They seem intent on spreading to every corner of the world.
~ I HOPE THEY ALL FREEZE their &&LL$ OFF. Too bad we cant re-institute an old custom like Jacob did at Shecham. :D
Soon we'll see seals in hijabs and polar bears armed with explosive belts. ::)
You can bet the $40,000 for the Mosque didn't come from the 175 Muslims living there. This sounds like the Mosque is being built for propaganda reasons to show how entrenched Islam is now in the Northern Hemisphere that there is even a Mosque now in the North Pole. That and/or they are hoping to attract Natives to Islam whom may be bitter towards the Canadian government in the same way that Islamists have made great efforts to convert Blacks in American prisons.
[Here the article breaks off for records of crystals]
********
Eu2InFeO6: relaxed, PBE with a Hubbard U.

Lattice parameters (Å, degrees): 5.692 5.692 5.692 60.00 60.00 60.00
Fractional positions:
Eu  0.250  0.250  0.250
Eu  0.750  0.750  0.750
In  0.500  0.500  0.500
Fe  0.000  0.000  0.000
O  0.760  0.240  0.240
O  0.240  0.760  0.760
O  0.760  0.240  0.760
O  0.240  0.760  0.240
O  0.760  0.760  0.240
O  0.240  0.240  0.760

## Properties
Size of the total moment = 17.000 Bohr magnetons per cell
Space group = Fm-3m
Final energy = -78.1 eV per cell

KEuFe4O12: relaxed, PBE with a Hubbard U.

Lattice parameters (Å, degrees): 5.412 5.412 7.626 90.00 90.00 89.44
Fractional positions:
K  0.989  0.989  0.500
Eu  0.510  0.510  0.000
Fe  0.499  0.001  0.741
Fe  0.499  0.001  0.259
Fe  0.001  0.499  0.259
Fe  0.001  0.499  0.741
O  0.771  0.229  0.773
O  0.229  0.771  0.773
O  0.229  0.771  0.227
O  0.771  0.229  0.227
O  0.699  0.699  0.726
O  0.282  0.282  0.787
O  0.282  0.282  0.213
O  0.699  0.699  0.274
O  0.538  0.970  0.000
O  0.478  0.047  0.500
O  0.970  0.538  0.000
O  0.047  0.478  0.500

## Properties
Size of the total moment = 18.000 Bohr magnetons per cell
Space group = Amm2
Final energy = -110.3 eV per cell

KEuFeSnO6: relaxed, PBE with a Hubbard U.

Lattice parameters (Å, degrees): 5.676 5.676 5.676 60.00 60.00 60.00
Fractional positions:
K  0.250  0.250  0.250
Eu  0.750  0.750  0.750
Fe  0.000  0.000  0.000
Sn  0.500  0.500  0.500
O  0.755  0.245  0.245
O  0.245  0.755  0.755
O  0.755  0.245  0.755
O  0.245  0.755  0.245
O  0.755  0.755  0.245
O  0.245  0.245  0.755

## Properties
Size of the total moment = 10.000 Bohr magnetons per cell
Space group = F-43m
Final energy = -67.2 eV per cell

no.,formation enthalpy at 0 K (eV/atom)
1,-2.310
2,-1.272
3,-2.002

=====

Entry 1:
Here is a relaxed structure of Na3NdTi2Nb2O12 from the Materials Project. Energies are from PBE.

As for the excess energy over the best structure of this formula in the dataset: 0.8 kJ per mole of atoms.

Cell lengths 5.5128, 5.6018, 7.8460 Å; angles 89.90, 89.95, 89.83 degrees
Space group P1 (No. 1)
Unique sites:
Na1 0.0000 0.0000 0.0000 [1 per cell]
Na2 0.0111 0.9574 0.5015 [1 per cell]
Na3 0.5084 0.4972 0.0010 [1 per cell]
Nd1 0.4997 0.4371 0.5013 [1 per cell]
Ti1 0.0006 0.4669 0.2589 [1 per cell]
Ti2 0.5119 0.9636 0.7447 [1 per cell]
Nb1 0.0035 0.4751 0.7652 [1 per cell]
Nb2 0.5095 0.9658 0.2364 [1 per cell]
O1 0.0706 0.4711 0.0047 [1 per cell]
O2 0.2269 0.2209 0.2986 [1 per cell]
O3 0.2299 0.2195 0.7045 [1 per cell]
O4 0.2931 0.7032 0.2952 [1 per cell]
O5 0.2963 0.7057 0.7076 [1 per cell]
O6 0.4296 0.9804 0.9979 [1 per cell]
O7 0.5740 0.0047 0.5047 [1 per cell]
O8 0.7130 0.2812 0.7755 [1 per cell]
O9 0.7152 0.2841 0.2285 [1 per cell]
O10 0.7869 0.7784 0.7845 [1 per cell]
O11 0.7918 0.7755 0.2153 [1 per cell]
O12 0.9282 0.5070 0.4974 [1 per cell]

Entry 2:
Here is a relaxed structure of LiBi3I2O4 from the Materials Project. Energies are from PBE.

Cell lengths 5.6509, 5.6537, 13.4536 Å; angles 90.00, 90.00, 90.00 degrees
********
True! :(
Such an isolated place in news of Pak666. It should be checked and cleared of Silo like things. :-[
With Regards... :)